# Input
#one
The following is a quantum chemistry calculation of C3H7ClN2 as an isolated structure, from the OMol25 dataset.

The value obtained for the HOMO-LUMO gap is 10.27 eV. The calculation puts the LUMO energy at 0.84 eV. Its total charge is 0.

Cartesian coordinates (Å):
C 0.278 0.668 0.527
C -0.426 -0.368 -0.317
C 0.986 -0.413 -0.151
H -0.752 -0.077 2.256
H 0.438 1.216 2.439
H 0.333 1.439 -0.223
H -0.971 -1.033 0.216
H -0.431 -0.952 -2.147
H -1.217 0.811 -1.768
H 1.217 -1.547 0.146
N -0.300 0.850 1.833
N -1.319 -0.256 -1.463
Cl 2.162 -0.338 -1.348

#two
The following is a quantum chemistry calculation of one molecule with the formula C3H7ClN2, from the OMol25 dataset.

The value obtained for the HOMO-LUMO gap is 9.81 eV. The calculation puts the LUMO energy at 0.94 eV. Its structure (SMILES) is C/C(CCl)=N/N. Its total charge is 0.

Cartesian coordinates (Å):
C 1.815 0.691 0.976
C 0.398 0.608 0.513
C -0.406 -0.675 0.631
Cl -0.112 -1.713 -0.779
N -0.172 1.652 0.083
N -1.396 1.488 -0.488
H 1.938 0.578 2.087
H 2.428 -0.163 0.533
H 2.261 1.626 0.738
H -0.094 -1.201 1.560
H -1.432 -0.359 0.606
H -1.484 0.637 -1.104
H -1.569 2.284 -1.074

It turns out #two is the most stable, with the second structure 3.509 eV higher.

#one
The following is a quantum chemistry calculation of a 2-piece molecular cluster, C4H12O overall, from the OMol25 dataset.

The value obtained for the HOMO-LUMO gap is 11.24 eV. The calculation puts the LUMO energy at 1.04 eV. Its structure (SMILES) is CCO.CC. Its total charge is 0.

Cartesian coordinates (Å):
C 1.040 2.056 0.327
C 0.338 1.636 -0.943
O 0.868 0.442 -1.481
H 0.669 3.026 0.698
H 2.098 2.173 0.103
H 0.882 1.316 1.109
H -0.738 1.520 -0.750
H 0.430 2.401 -1.715
H 1.260 -0.149 -0.823
C -1.344 -1.803 -0.165
C -0.347 -1.767 0.994
H -1.917 -2.721 -0.039
H -2.032 -0.958 -0.066
H -0.910 -1.841 -1.160
H 0.490 -1.066 0.899
H 0.115 -2.756 1.124
H -0.901 -1.508 1.889

#two
The following is a quantum chemistry calculation of a 2-piece molecular cluster, C4H12O overall, from the OMol25 dataset.

The value obtained for the HOMO-LUMO gap is 11.60 eV. The calculation puts the LUMO energy at 0.92 eV. Its structure (SMILES) is CC(C)C.O. Its total charge is 0.

Cartesian coordinates (Å):
C -0.074 1.321 0.383
C 0.221 0.918 -1.065
C 0.687 -0.538 -1.174
C 1.125 1.946 -1.749
H -0.387 2.380 0.501
H 0.679 1.120 1.145
H -0.953 0.764 0.740
H -0.693 0.944 -1.724
H 0.630 -0.773 -2.241
H 1.717 -0.595 -0.824
H 0.133 -1.190 -0.516
H 2.036 1.954 -1.121
H 0.894 3.032 -1.631
H 1.544 1.969 -2.760
O -2.312 -4.161 4.257
H -2.278 -5.123 4.206
H -2.968 -3.970 3.572

It turns out #one is the most stable, with the second structure 0.106 eV higher.

#one
The following is a quantum chemistry calculation of a 2-piece molecular cluster, C4H12O overall, from the OMol25 dataset.

The value obtained for the HOMO-LUMO gap is 11.34 eV. The calculation puts the LUMO energy at 0.91 eV. Its structure (SMILES) is CCC.CO. Its total charge is 0.

Cartesian coordinates (Å):
C -0.826 -2.143 -0.323
C 0.662 -1.992 -0.114
C 1.074 -0.602 -0.672
H -1.328 -1.411 0.323
H -1.258 -3.085 0.026
H -1.130 -1.922 -1.341
H 1.045 -2.012 0.914
H 1.406 -2.712 -0.483
H 0.530 -0.376 -1.579
H 0.763 0.110 0.084
H 2.127 -0.496 -0.939
C -0.562 2.677 0.371
O -0.116 3.372 1.498
H -1.645 2.700 0.196
H -0.133 3.214 -0.482
H -0.152 1.674 0.215
H -0.459 3.004 2.306

#two
The following is a quantum chemistry calculation of a 2-piece molecular cluster, C4H12O overall, from the OMol25 dataset.

The value obtained for the HOMO-LUMO gap is 11.23 eV. The calculation puts the LUMO energy at 0.98 eV. Its structure (SMILES) is CCO.CC. Its total charge is 0.

Cartesian coordinates (Å):
C 0.896 0.844 1.843
C 1.819 -0.225 1.278
O 2.440 0.148 0.037
H 1.262 1.876 1.674
H 0.865 0.813 2.932
H -0.121 0.878 1.452
H 2.676 -0.405 1.899
H 1.173 -1.079 1.144
H 1.804 0.629 -0.520
C -0.908 -0.616 -1.183
C -2.307 -0.282 -1.739
H -0.347 0.295 -1.003
H -0.992 -1.142 -0.238
H -0.365 -1.233 -1.897

# Activity
Quote the whole of the calculation results earlier on unchanged.

# Here it is
#one
The following is a quantum chemistry calculation of C3H7ClN2 as an isolated structure, from the OMol25 dataset.

The value obtained for the HOMO-LUMO gap is 10.27 eV. The calculation puts the LUMO energy at 0.84 eV. Its total charge is 0.

Cartesian coordinates (Å):
C 0.278 0.668 0.527
C -0.426 -0.368 -0.317
C 0.986 -0.413 -0.151
H -0.752 -0.077 2.256
H 0.438 1.216 2.439
H 0.333 1.439 -0.223
H -0.971 -1.033 0.216
H -0.431 -0.952 -2.147
H -1.217 0.811 -1.768
H 1.217 -1.547 0.146
N -0.300 0.850 1.833
N -1.319 -0.256 -1.463
Cl 2.162 -0.338 -1.348

#two
The following is a quantum chemistry calculation of one molecule with the formula C3H7ClN2, from the OMol25 dataset.

The value obtained for the HOMO-LUMO gap is 9.81 eV. The calculation puts the LUMO energy at 0.94 eV. Its structure (SMILES) is C/C(CCl)=N/N. Its total charge is 0.

Cartesian coordinates (Å):
C 1.815 0.691 0.976
C 0.398 0.608 0.513
C -0.406 -0.675 0.631
Cl -0.112 -1.713 -0.779
N -0.172 1.652 0.083
N -1.396 1.488 -0.488
H 1.938 0.578 2.087
H 2.428 -0.163 0.533
H 2.261 1.626 0.738
H -0.094 -1.201 1.560
H -1.432 -0.359 0.606
H -1.484 0.637 -1.104
H -1.569 2.284 -1.074

It turns out #two is the most stable, with the second structure 3.509 eV higher.

#one
The following is a quantum chemistry calculation of a 2-piece molecular cluster, C4H12O overall, from the OMol25 dataset.

The value obtained for the HOMO-LUMO gap is 11.24 eV. The calculation puts the LUMO energy at 1.04 eV. Its structure (SMILES) is CCO.CC. Its total charge is 0.

Cartesian coordinates (Å):
C 1.040 2.056 0.327
C 0.338 1.636 -0.943
O 0.868 0.442 -1.481
H 0.669 3.026 0.698
H 2.098 2.173 0.103
H 0.882 1.316 1.109
H -0.738 1.520 -0.750
H 0.430 2.401 -1.715
H 1.260 -0.149 -0.823
C -1.344 -1.803 -0.165
C -0.347 -1.767 0.994
H -1.917 -2.721 -0.039
H -2.032 -0.958 -0.066
H -0.910 -1.841 -1.160
H 0.490 -1.066 0.899
H 0.115 -2.756 1.124
H -0.901 -1.508 1.889

#two
The following is a quantum chemistry calculation of a 2-piece molecular cluster, C4H12O overall, from the OMol25 dataset.

The value obtained for the HOMO-LUMO gap is 11.60 eV. The calculation puts the LUMO energy at 0.92 eV. Its structure (SMILES) is CC(C)C.O. Its total charge is 0.

Cartesian coordinates (Å):
C -0.074 1.321 0.383
C 0.221 0.918 -1.065
C 0.687 -0.538 -1.174
C 1.125 1.946 -1.749
H -0.387 2.380 0.501
H 0.679 1.120 1.145
H -0.953 0.764 0.740
H -0.693 0.944 -1.724
H 0.630 -0.773 -2.241
H 1.717 -0.595 -0.824
H 0.133 -1.190 -0.516
H 2.036 1.954 -1.121
H 0.894 3.032 -1.631
H 1.544 1.969 -2.760
O -2.312 -4.161 4.257
H -2.278 -5.123 4.206
H -2.968 -3.970 3.572

It turns out #one is the most stable, with the second structure 0.106 eV higher.

#one
The following is a quantum chemistry calculation of a 2-piece molecular cluster, C4H12O overall, from the OMol25 dataset.

The value obtained for the HOMO-LUMO gap is 11.34 eV. The calculation puts the LUMO energy at 0.91 eV. Its structure (SMILES) is CCC.CO. Its total charge is 0.

Cartesian coordinates (Å):
C -0.826 -2.143 -0.323
C 0.662 -1.992 -0.114
C 1.074 -0.602 -0.672
H -1.328 -1.411 0.323
H -1.258 -3.085 0.026
H -1.130 -1.922 -1.341
H 1.045 -2.012 0.914
H 1.406 -2.712 -0.483
H 0.530 -0.376 -1.579
H 0.763 0.110 0.084
H 2.127 -0.496 -0.939
C -0.562 2.677 0.371
O -0.116 3.372 1.498
H -1.645 2.700 0.196
H -0.133 3.214 -0.482
H -0.152 1.674 0.215
H -0.459 3.004 2.306

#two
The following is a quantum chemistry calculation of a 2-piece molecular cluster, C4H12O overall, from the OMol25 dataset.

The value obtained for the HOMO-LUMO gap is 11.23 eV. The calculation puts the LUMO energy at 0.98 eV. Its structure (SMILES) is CCO.CC. Its total charge is 0.

Cartesian coordinates (Å):
C 0.896 0.844 1.843
C 1.819 -0.225 1.278
O 2.440 0.148 0.037
H 1.262 1.876 1.674
H 0.865 0.813 2.932
H -0.121 0.878 1.452
H 2.676 -0.405 1.899
H 1.173 -1.079 1.144
H 1.804 0.629 -0.520
C -0.908 -0.616 -1.183
C -2.307 -0.282 -1.739
H -0.347 0.295 -1.003
H -0.992 -1.142 -0.238
H -0.365 -1.233 -1.897